Rumsfeld and His Critics
Mackubin T. Owens
'''
Record 1
Calculated powder diffraction line list
Compound: TbGaPd2
Radiation: CuKα
Structure: a cell relaxed with GGA-PBE
No peak broadening, texture or thermal motion is included.

Structure:
abc: 7.430 7.162 5.652
angles: 90.00 90.00 90.00
Space group Pnma (No. 62)
Inequivalent atoms, fractional coordinates:
Tb 0.033 0.250 0.150 (multiplicity 4)
Ga 0.120 0.750 0.350 (multiplicity 4)
Pd 0.178 0.052 0.588 (multiplicity 8)

Main lines, sorted by position (2θ from 10° to 80°):
31.4°, I 535, (2 1 1)
31.9°, I 420, (1 2 1)
33.9°, I 291, (1 0 2)
34.8°, I 727, (2 2 0)
36.2°, I 1000, (1 1 2)
38.4°, I 555, (2 2 1)
39.7°, I 614, (3 0 1)
42.5°, I 304, (1 2 2)
42.9°, I 426, (1 3 1)
63.3°, I 290, (3 3 2)

Record 2
Calculated powder diffraction line list
Compound: Tb4Ga12Pd
Radiation: CuKα
Structure: a cell relaxed with GGA-PBE
No peak broadening, texture or thermal motion is included.

Structure:
abc: 8.664 8.664 8.664
angles: 90.00 90.00 90.00
Space group Im-3m (No. 229)
Inequivalent atoms, fractional coordinates:
Tb 0.250 0.250 0.250 (multiplicity 8)
Ga 0.000 0.000 0.296 (multiplicity 12)
Ga 0.000 0.250 0.500 (multiplicity 12)
Pd 0.000 0.000 0.000 (multiplicity 2)

Main lines, sorted by position (2θ from 10° to 80°):
29.2°, I 354, (2 2 0)
35.9°, I 1000, (2 2 2)
38.9°, I 111, (3 2 1)
41.7°, I 653, (4 0 0)
49.3°, I 86, (3 3 2)
51.7°, I 100, (4 2 2)
60.4°, I 381, (4 4 0)
68.5°, I 105, (6 2 0)
72.3°, I 298, (6 2 2)
76.1°, I 113, (4 4 4)

Record 3
Calculated powder diffraction line list
Compound: TbGa2Pd
Radiation: CuKα
Structure: a cell relaxed with GGA-PBE
No peak broadening, texture or thermal motion is included.

Structure:
abc: 4.462 10.185 6.616
angles: 90.00 90.00 90.00
Space group Cmcm (No. 63)
Inequivalent atoms, fractional coordinates:
Tb 0.000 0.090 0.250 (multiplicity 4)
Ga 0.000 0.373 0.053 (multiplicity 8)
Pd 0.000 0.200 0.750 (multiplicity 4)

Main lines, sorted by position (2θ from 10° to 80°):
27.0°, I 182, (0 0 2)
34.9°, I 1000, (1 1 2)
35.2°, I 182, (0 4 0)
35.9°, I 961, (1 3 1)
37.9°, I 337, (0 4 1)
40.4°, I 462, (2 0 0)
43.2°, I 325, (1 3 2)
56.6°, I 208, (2 4 1)
70.0°, I 200, (0 6 3)
70.6°, I 232, (3 3 1)

Record 4
Calculated powder diffraction line list
Compound: Tb6Ga19Pd3
Radiation: CuKα
Structure: a cell relaxed with GGA-PBE
No peak broadening, texture or thermal motion is included.

Structure:
abc: 15.819 4.264 15.896
angles: 90.00 103.23 90.00
Space group Cm (No. 8)
Inequivalent atoms, fractional coordinates:
Tb 0.000 0.000 0.000 (multiplicity 2)
Tb 0.002 0.500 0.503 (multiplicity 2)
Tb 0.150 0.500 0.345 (multiplicity 2)
Tb 0.159 0.000 0.846 (multiplicity 2)
Tb 0.343 0.000 0.656 (multiplicity 2)
Tb 0.349 0.500 0.155 (multiplicity 2)
Ga 0.010 0.000 0.353 (multiplicity 2)
Ga 0.017 0.500 0.860 (multiplicity 2)
Ga 0.069 0.500 0.710 (multiplicity 2)
Ga 0.073 0.000 0.208 (multiplicity 2)
Ga 0.141 0.000 0.482 (multiplicity 2)
Ga 0.146 0.500 0.989 (multiplicity 2)
Ga 0.149 0.000 0.650 (multiplicity 2)
Ga 0.209 0.500 0.568 (multiplicity 2)
'''
May 1, 2006
Secretary of Defense Donald Rumsfeld has taken a serious beating recently. His critics, including several retired Army and Marine Corps generals, have accused him, in essence, of being personally responsible for perceived failures in Iraq. His critics charge that he ignored military advice and insisted on a plan for Iraq that employed too small of a force, that he failed to adapt to new circumstances once things began to go wrong, that he failed to foresee the insurgency that now rages, and that he ignored the need to prepare for post-conflict stability operations.
The first thing to realize is that disagreements between civilians and soldiers about the conduct of a war are not uncommon in American history. But the critics’ charges against Rumsfeld are based on two false premises: (1) in general—that the military, is always right when it comes to military affairs; and (2) in particular, that the things Rumsfeld got wrong in Iraq, the military got right.
The historical record illustrates that the judgment of soldiers is not always on the money. Abraham Lincoln constantly prodded George McClellan to take the offensive in Virginia in 1862; McClellan just as constantly whined about insufficient forces. Despite the image of civil-military comity during World War II, there were many differences between Franklin Roosevelt and his military advisers. George Marshall, the greatest soldier-statesman since Washington, opposed arms shipments to Great Britain in 1940 and argued for a cross-channel invasion before the United States was ready. History has vindicated both Lincoln and Roosevelt.
Many are inclined to blame American defeat in Vietnam on civilians. But the U.S. operational approach in Vietnam was the creature of the uniformed military. The conventional wisdom today is that the operational strategy of General William Westmoreland emphasizing attrition of the Peoples’ Army of Vietnam (PAVN) forces in a “war of the big battalions”—sweeps through remote jungle areas in an effort to fix and destroy the enemy with superior fire power–was counterproductive. By the time Westmoreland’s successor could adopt a more fruitful approach, it was too late.
During the planning for Operation Desert Storm in late 1990 and early 1991, Gen. Norman Schwarzkopf, commander of U.S. Central Command presented a plan calling for a frontal assault against Iraqi positions in southern Kuwait followed by a drive toward Kuwait City. The problem was that this plan was unlikely to achieve the foremost military objective of the ground war: the destruction of the three divisions of Saddam’s Republican Guard. The civilian leadership rejected the early war plan presented by CENTCOM and ordered a return to the drawing board. The revised plan was far more imaginative and effective.
While Rumsfeld made some critical mistakes, it is clear that no one did better than when it came to predicting what would transpire. Did Rumsfeld foresee the insurgency and the shift from conventional to guerilla war? No, but neither did his critics in the uniformed services.
Last year, Tom Ricks of the Washington Post publicized a study by Maj. Isaiah Wilson III, who served as an official historian of the Iraq campaign and later as a war planner in Iraq. Wilson charged that Army commanders had failed to grasp the strategic situation in Iraq and were still pursuing a flawed approach. “Plainly stated, the ’western coalition’ failed, and continues to fail, to see Operation Iraqi Freedom in its fullness.… Reluctance in even defining the situation… is perhaps the most telling indicator of a collective cognitive dissidence on part of the U.S. Army to recognize a war of rebellion, a people’s war, even when they were fighting it.”
_Attached: records of crystals_
'''
# GdFe3B4O12
Simulated powder XRD pattern, Cu Kα (λ = 1.5418 Å). Input: DFT lattice parameters and positions (PBE+U).
Intensities are scaled so that the largest is 1000.

Cell and atoms:
Unit cell a=9.6550 b=9.6550 c=7.6750 alpha=90.00 beta=90.00 gamma=120.00
Positions (direct):
Gd1 0.0000 0.3333 0.1667
Gd2 0.3333 0.0000 0.8333
Gd3 0.6667 0.6667 0.5000
Fe1 0.0000 0.8838 0.1667
Fe2 0.1162 0.1162 0.5000
Fe3 0.2155 0.6658 0.4971
Fe4 0.3342 0.5497 0.8304
Fe5 0.4503 0.7845 0.1637
Fe6 0.5497 0.3342 0.1696
Fe7 0.6658 0.2155 0.5029
Fe8 0.7845 0.4503 0.8363
Fe9 0.8838 0.0000 0.8333
B1 0.0000 0.3328 0.6667
B2 0.0000 0.7802 0.6667
B3 0.1170 0.6692 0.9963
B4 0.2198 0.2198 0.0000
B5 0.3308 0.4477 0.3296
B6 0.3328 0.0000 0.3333
B7 0.4477 0.3308 0.6704
B8 0.5523 0.8830 0.6630
B9 0.6672 0.6672 0.0000
B10 0.6692 0.1170 0.0037
B11 0.7802 0.0000 0.3333
B12 0.8830 0.5523 0.3370
O1 0.0000 0.1893 0.6667
O2 0.0000 0.9237 0.6667
O3 0.0205 0.5426 0.3496
O4 0.0763 0.0763 0.0000
O5 0.1213 0.8137 0.0148
O6 0.1438 0.4760 0.6643
O7 0.1461 0.7871 0.6506
O8 0.1863 0.3076 0.3481
O9 0.1893 0.0000 0.3333
O10 0.2129 0.3589 0.9839
O11 0.2628 0.6743 0.9896
O12 0.3076 0.1863 0.6519
O13 0.3257 0.5885 0.3229
O14 0.3323 0.8562 0.3309
O15 0.3589 0.2129 0.0161
O16 0.4115 0.7372 0.6562
O17 0.4574 0.4779 0.6829
O18 0.4760 0.1438 0.3357
O19 0.4779 0.4574 0.3171
O20 0.5221 0.9795 0.0163
O21 0.5240 0.6677 0.9976
O22 0.5426 0.0205 0.6504
O23 0.5885 0.3257 0.6771
O24 0.6411 0.8539 0.3173
O25 0.6677 0.5240 0.0024
O26 0.6743 0.2628 0.0104
O27 0.6924 0.8787 0.6814
O28 0.7372 0.4115 0.3438
O29 0.7871 0.1461 0.3494
O30 0.8107 0.8107 0.0000
O31 0.8137 0.1213 0.9852
O32 0.8539 0.6411 0.6827
O33 0.8562 0.3323 0.6691
O34 0.8787 0.6924 0.3186
O35 0.9237 0.0000 0.3333
O36 0.9795 0.5221 0.9837

The 10 most intense peaks (2θ = 10–80°), most intense first:
d 2.827, 2θ = 31.65°, rel. 1000
d 3.671, 2θ = 24.24°, rel. 807
d 5.654, 2θ = 15.67°, rel. 304
d 1.756, 2θ = 52.09°, rel. 294
d 2.922, 2θ = 30.59°, rel. 268
d 2.414, 2θ = 37.25°, rel. 255
d 4.827, 2θ = 18.38°, rel. 245
d 1.985, 2θ = 45.71°, rel. 206
d 1.744, 2θ = 52.47°, rel. 200
d 2.440, 2θ = 36.84°, rel. 178


Record 1
# CaW2O4
Simulated X-ray diffraction stick pattern, Cu Kα, 1.54184 Å. Input: the PBE+U geometry in the Materials Project.
Kinematic intensities with the Lorentz-polarization factor, no thermal factor.

Atomic structure:
```
56
Lattice="5.6554 -3.2770 0.0000 5.6554 3.2770 0.0000 -4.5071 0.0000 21.6700" Properties=species:S:1:pos:R:3 pbc="T T T"
Ca 0.0000 0.0000 0.0000
Ca -0.5790 0.0000 16.2602
Ca 1.4292 0.0000 13.5741
Ca 3.4261 0.0000 10.8160
Ca 5.5542 0.0000 2.0866
Ca 5.4411 0.0000 8.1034
Ca 7.4823 0.0000 5.4554
Ca 4.9767 0.0000 18.2890
W 0.5940 1.6403 10.8383
W -2.2524 0.0000 12.9243
W -2.5297 0.0000 18.9299
W 2.0027 0.0000 3.3764
W 2.2333 1.6527 16.2588
W 4.6747 1.6381 5.4381
W 1.8238 0.0000 7.5421
W 1.1917 0.0000 19.5982
W 0.5940 -1.6403 10.8383
W 8.4955 1.6121 0.0085
W 5.0724 0.0000 14.1847
W 2.2333 -1.6527 16.2588
'''
How about the charge that Rumsfeld’s Pentagon has shortchanged the troops in Iraq, by failing to provide them with armored humvees? A review of Army budget submissions makes it clear that the service’s priority, as is usually the case with the uniformed services, was to acquire “big ticket” items. It was only after the insurgency and the IED threat became apparent that the Army began to push for supplemental spending to “up-armor” the utility vehicles.
It is true that Rumsfeld downplayed the need to prepare for post-conflict stability operations, but in this he was merely ratifying the preferences of the uniformed military. When it comes to post-conflict stability operations, the real villain is the Weinberger-Powell Doctrine, a set of principles long internalized by the U.S. military that emphasizes the requirement for an “exit strategy.” But if generals are thinking about an exit strategy they are not thinking about “war termination”—how to convert military success into political success. This cultural aversion to conducting stability operations is reflected by the fact that operational planning for Operation Iraqi Freedom took 18 months while planning for postwar stabilization began half-heartedly only a couple of months before the invasion.
In retrospect, it is easy to criticize Rumsfeld for pushing the CENTCOM commander, Gen. Tommy Franks, to develop a plan based on a smaller force than the one called for in earlier plans”—as well as for his interference with the Time-Phased Force and Deployment List (TPFDL) that lays out the schedule of forces deploying to a theater of war. But hindsight is always 20-20, permitting us to judge another’s actions on the basis of what we know now, not what we knew then. Thus the consequences of the chosen path–to attack earlier with a smaller force”—are visible to us in retrospect while the very real risks associated with an alternative option”—e.g. take the time to build up a larger force, perhaps losing the opportunity to achieve surprise”—remain provisional.
The debate over the size of the invasion force must also be understood in the context of civil-military relations. The fact is that Rumsfeld believed that civilian control of the military had eroded during the Clinton administration. If the Army didn’t want to do something”—as in the Balkans in the 1990s”—it would simply overstate the force requirements: “The answer is 350,000 soldiers. What’s the question?”
Accordingly, Rumsfeld was inclined to interpret the Army’s call for a larger force to invade Iraq as just one more example of what he perceived as foot dragging. In retrospect, Rumsfeld’s decision not to deploy the 1st Cavalry Division was a mistake, but again he had come to believe that the TPFDL, like the “two major theater war” planning metric, had become little more than a bureaucratic tool that the services used to protect their shares of the defense budget.
Retrospective criticism is easy. Rumsfeld’s detractors would be much more credible if they could point to an instance in which their ability to discern the future was substantially superior to that of the man they have attacked.
Mackubin T. Owens is an adjunct fellow of the Ashbrook Center and a professor of national security at the Naval War